Node object
The Node object holds information about control's node. Use the Nodes property to access the control's Nodes collection. Use the Add method to add a new node to the control. Use the Editors property to access the control's editors. The Node object supports the following properties and methods:

BackColorSpecifies the node's background color.
BackColorChildSpecifies the default background color for child nodes.
BackColorValueSpecifies the background color for the node's value.
BackgroundExtIndicates additional colors, text, images that can be displayed on the node's background using the EBN string format.
BackgroundExtValueSpecifies at runtime, the value of the giving property for specified part of the background extension.
ClearBackColorClears the node's background color.
ClearBackColorChildClears the default background color for child nodes.
ClearBackColorValueClears the background of the node's value.
ClearForeColorClears the node's foreground color.
ClearForeColorChildClears the default foreground color for the child nodes.
ClearForeColorValueClears the foreground color for the node's value.
CollapseAllCollapses all the child nodes.
EditorSpecifies a value that indicates the key of the node's editor.
EnabledSpecifies whether the node is enabled or disabled.
ExpandAllExpands all the child nodes.
ExpandedSpecifies whether a node is expanded or collapsed.
FirstNodeGets the first child tree node in the tree node collection.
ForeColorSpecifies the node's background color.
ForeColorChildSpecifies the default foreground color for child nodes.
ForeColorValueSpecifies the foreground color for the node's value.
HasChildsSpecifies whether the node contains child nodes.
IDRetrieves the node's unique identifier.
ImageRetrieves or sets a value that indicates the index of icon to display in the node.
IndexRetrieves the index of the node within the collection.
IsChildOfSpecifies whether a node is child of another node.
KeyRetrieves the node's key.
LastNodeGets the last child tree node.
LevelSpecifies the node's level.
NameSpecifies the caption of the node.
NextNodeGets the next sibling tree node.
NextVisibleNodeGets the next visible tree node.
NodesGets the collection of Node objects assigned to the current node.
# Records of molecules that have nothing to do with the page
-- begin --
No. 1
Below is C18H44GeIrO3PSe2 as an isolated structure in a non-equilibrium geometry, with properties calculated with ωB97M-V with the def2-TZVPD basis set.

Cartesian coordinates (Å):
Ir 0.31 0.12 -0.25
C 1.05 -1.12 2.83
Se -0.18 0.21 2.11
C -1.87 -0.80 2.13
C -1.83 -2.05 1.31
Se -1.24 -1.68 -0.56
C -0.24 -3.32 -0.88
H 1.02 -2.05 2.26
H 0.71 -1.28 3.85
H 2.04 -0.67 2.83
H -2.63 -0.09 1.81
H -2.04 -1.03 3.19
H -2.82 -2.49 1.21
H -1.15 -2.80 1.71
H -0.99 -4.11 -0.81
H 0.54 -3.46 -0.14
H 0.14 -3.27 -1.90
C -2.04 1.21 -3.84
C -2.23 2.41 -2.97
O -1.06 2.54 -1.98
P -0.67 2.08 -0.58
O -1.66 2.44 0.53
C -2.39 3.78 0.90
C -3.49 4.10 -0.05
O 0.83 2.42 -0.32
C 1.67 3.57 -0.98
C 1.25 4.87 -0.37
H -2.88 1.16 -4.54
H -2.05 0.29 -3.26
H -1.12 1.30 -4.42
H -3.13 2.38 -2.36
H -2.17 3.34 -3.52
H -1.60 4.52 0.94
H -2.73 3.54 1.90
H -3.13 4.39 -1.04
H -4.03 4.96 0.35
H -4.21 3.28 -0.13
H 1.48 3.50 -2.04
H 2.69 3.29 -0.74
H 0.22 5.14 -0.63
H 1.89 5.66 -0.79
H 1.39 4.88 0.71
C -0.12 -1.78 -4.53
C 1.00 -0.77 -4.31
C 1.47 -0.75 -2.87
C 2.55 0.28 -2.57
Ge 3.23 0.02 -0.78
C 3.43 -1.74 -0.10
C 4.87 -1.72 -0.78
C 5.68 -3.00 -0.38
C 5.06 -4.26 -0.95
H -0.49 -1.75 -5.56
H -0.97 -1.58 -3.88
H 0.22 -2.80 -4.35
H 0.70 0.23 -4.63
H 1.87 -1.03 -4.93
H 1.80 -1.75 -2.58
H 0.58 -0.52 -2.21
H 2.19 1.30 -2.69
H 3.43 0.21 -3.23
H 3.84 1.16 0.02
H 2.82 -2.53 -0.53
H 3.52 -1.83 0.98
H 5.46 -0.84 -0.46
H 4.79 -1.70 -1.87
H 5.76 -3.04 0.70
H 6.69 -2.84 -0.78
H 4.13 -4.52 -0.45
H 5.75 -5.09 -0.80
H 4.89 -4.18 -2.03

For the LUMO energy, the calculation gives -14.23 eV. The value obtained for the highest occupied orbital energy is -21.413 eV. The HOMO-LUMO gap is 7.19 eV. The total charge is +4.

Mulliken population analysis, charges in e, atoms 1 to 5: 1.118, -1.056, 0.223, -0.818, -0.748

No. 2
Below is a 2-piece molecular cluster, C6H14O overall in a non-equilibrium geometry, with properties calculated with ωB97M-V with the def2-TZVPD basis set.

Cartesian coordinates (Å):
C -1.06 -0.74 -1.37
C -0.77 0.56 -0.99
C -0.61 1.01 0.45
C 0.87 0.63 1.09
C 1.99 1.02 0.28
C 1.89 2.70 0.27
H -1.81 -1.29 -0.81
H -0.49 -1.17 -2.20
H -0.54 1.26 -1.85
H -1.53 0.88 1.08
H -0.57 2.15 0.56
H 0.95 -0.34 1.63
H 0.84 1.27 1.94
H 3.07 0.79 0.45
H 1.96 0.76 -0.76
H 2.84 3.12 -0.03
H 0.93 3.10 -0.41
H 1.59 3.12 1.34
O -3.00 -6.61 -0.09
H -3.49 -6.54 -0.91
H -3.05 -5.68 0.32

For the LUMO energy, the calculation gives 0.73 eV. Its structure (SMILES) is C=CCCCC.O. The value obtained for the highest occupied orbital energy is -8.808 eV. The HOMO-LUMO gap is 9.54 eV. The relative energy (zero: lowest compared OMol25 entry of this formula, charge and spin) is 91.7 kcal per mole.

Mulliken population analysis, charges in e, atoms 1 to 5: -0.656, -0.232, -0.698, -0.787, -0.335

No. 3
Below is a 8-piece molecular cluster, C22H48O14S5 overall in a non-equilibrium geometry, with properties calculated with ωB97M-V with the def2-TZVPD basis set.

Cartesian coordinates (Å):
C -1.02 -3.64 7.09
C -1.99 -2.69 6.27
-- stop --
ParentRetrieves the parent node.
## Next to the entry, the page also holds records of molecules
=====
{
  "formula": "C37H70CrN7O3",
  "method": "wB97M-V/def2-TZVPD",
  "charge": 0,
  "e_above_lowest_kcal_mol": 60.02,
  "gap_ha": [0.261, 0.298],
  "e_lumo_ev": [-0.94, 0.09],
  "multiplicity": 4,
  "species": ["Cr", "C", "C", "C", "O", "H", "H", "H", "H", "H", "H", "H", "C", "C", "C", "O", "H", "H", "H", "H", "H", "H", "H", "C", "C", "C", "O", "H", "H", "H", "H", "H", "H", "H", "C", "C", "C", "C", "N", "H", "H", "H", "H", "H", "H", "H", "C", "C", "C", "C", "N", "H", "H", "H", "H", "H", "H", "H", "C", "C", "C", "C", "N", "H", "H", "H", "H", "H", "H", "H", "C", "C", "C", "C", "N", "H", "H", "H", "H", "H", "H", "H", "C", "C", "C", "C", "N", "H", "H", "H", "H", "H", "H", "H", "C", "C", "C", "C", "N", "H", "H", "H", "H", "H", "H", "H", "C", "C", "C", "C", "N", "H", "H", "H", "H", "H", "H", "H"],
=====
PictureAssign a picture to a node.
PositionSpecifies the position of the node within the nodes collection.
PrevNodeGets the previous sibling tree node.
PrevVisibleNodeGets the previous visible tree node.
SelectedSpecifies whether the node is selected.
ToolTipSpecifies the node's tooltip.
ToolTipTitleSpecifies the node's title for its tooltip.
UserDataAssociates an extra data to the node.
ValueSpecifies the value of the node.
VisibleSpecifies whether a node is visible or hidden.